Campus Writing Board Member Guide
Welcome to the Campus Writing Program (CWP) family! As a Campus Writing Board member, you have the opportunity to learn from and collaborate with Writing Intensive (WI) instructors from across the disciplines through reviewing WI proposals and discussing WI pedagogy with fellow board members.
A full term is three-years but often we need to fill in for a member on leave or who must step down for other reasons. There are two main responsibilities for Board members: maintaining standards and developing policy. The primary ongoing task is maintenance of standards by reviewing courses in one of three sectors: Education and Social Sciences (ESS), Humanities and Arts (HA), and Natural and Applied Sciences (NAS).
The CWB’s approval process is designed to ensure that WI courses meet the standards set forth in the Guidelines for Writing Intensive courses, the foundational document of the Campus Writing Program. Your service on the Board ensures the integrity of the WI designation over time and enables MU students to complete the two-course WI requirement.
Board members are responsible for attending 3-4 subcommittee meetings and Board meetings per semester. Subcommittee meetings focus primarily upon the review of WI course proposals submitted by instructors and distributed to Board members by Campus Writing Program staff. Subcommittee members read WI course proposals in advance of the subcommittee meetings and determine whether they adhere to the standards set forth in the WI Guidelines cited above. You will also, no doubt, call upon your own disciplinary expertise to determine whether the proposed courses are likely to succeed as vehicles for teaching students course content through the use of writing.
When the subcommittee convenes, the chair asks members to discuss their assessments of each proposed course, noting both strengths and weaknesses and raising questions unanswered by the proposal form and supplementary documents such as syllabi and sample assignments. A number of actions are possible after each course has been reviewed and discussed.
- The subcommittee may vote to approve the course. If members vote to approve, the course will be added to the list of courses recommended for approval at the next full Board meeting.
- Members may vote to table the course and ask the CWP Coordinator responsible for your subcommittee to gather more information.
- On rare occasions, the subcommittee may vote to reject a course outright, but this action is unlikely unless the CWP Coordinator has already attempted to negotiate with the instructor and failed.
The subcommittees’ primary aims throughout this process are to help instructors bring proposed courses in line with the WI Guidelines and to alert proposing instructors to potential difficulties with course design or assignment descriptions. Subcommittee members often report that this part of their CWB responsibilities affords them a rich opportunity to adapt good pedagogical ideas for their own courses.
At Board meetings, the full Board hears reports from the three subcommittee chairs and votes on the set of courses recommended by each subcommittee. Board members may raise questions concerning courses on the lists, but it is unlikely that the Board will overturn a subcommittee’s recommendations.
After course approvals are voted upon, the Board generally turns its attention to their second major responsibility—matters of policy. This may consist of hearing reports from the CWP staff, the Vice Provost for Undergraduate Studies (to whom CWP reports), the Registrar, or other interested constituencies.
What is My Role as a Campus Writing Board Member?
Your primary role is to review and vote on new and updated WI courses and, when needed, provide helpful feedback to the instructor through CWP. Should you feel that a course does not reach the WI guidelines, or that there might be a better approach than what is presented, your comments will be forwarded to the instructor. You will also contribute to and vote on discussions related to larger CWP policy during full Campus Writing Board meetings.
How is a Course Approved WI?
With a few minor exceptions, the trajectory of a proposed WI course follows these steps:
- Once an instructor proposes a course via our online system, two CWP staff review the course and coordinate with the instructor if any errors or major issues are noticed.
- CWP sends all new, substantially changed, or 3 year review course proposals to the respective subcommittees to be reviewed at the next subcommittee meeting.
Between two parts of the text: calculated crystals:
Ac8AlSi3Br4 PBE relaxed; energy relative to the elements, uncorrected = -15.3 eV/f.u.; SG = R-3m
1.0
4.6267 2.6712 7.5565
-4.6267 2.6712 7.5565
0.0000 -5.3425 7.5565
Ac Al Si Br
8 1 3 4
Direct
0.2356 0.7419 0.7419
0.2383 0.2383 0.2383
0.2581 0.2581 0.7644
0.2581 0.7644 0.2581
0.7419 0.2356 0.7419
0.7419 0.7419 0.2356
0.7617 0.7617 0.7617
0.7644 0.2581 0.2581
0.5000 0.5000 0.5000
0.0000 0.0000 0.5000
0.0000 0.5000 0.0000
0.5000 0.0000 0.0000
0.0000 0.0000 0.0000
0.0000 0.5000 0.5000
0.5000 0.0000 0.5000
0.5000 0.5000 0.0000

CdCuMo4 PBE relaxed; calculated formation energy = 58.0 kJ per mole of atoms; SG = F-43m
1.0
0.0000 3.7209 3.7209
3.7209 0.0000 3.7209
3.7209 3.7209 0.0000
Cd Cu Mo
1 1 4
Direct
0.0000 0.0000 0.0000
0.7500 0.7500 0.7500
0.3759 0.3759 0.3759
0.3759 0.3759 0.8724
0.3759 0.8724 0.3759
0.8724 0.3759 0.3759

AcDyTe2 PBE relaxed; energy relative to the elements, uncorrected = -5.4 eV/f.u.; SG = R3m
1.0
4.3235 0.0000 0.0000
-2.1617 3.7442 0.0000
0.0000 0.0000 24.7044
Ac Dy Te
3 3 6
Direct
0.0000 0.0000 0.0000
0.3333 0.6667 0.6667
0.6667 0.3333 0.3333
0.0000 0.0000 0.8266
0.3333 0.6667 0.4933
0.6667 0.3333 0.1599
0.0000 0.0000 0.4208
0.0000 0.0000 0.5730
0.3333 0.6667 0.0875
0.3333 0.6667 0.2397
0.6667 0.3333 0.7541
0.6667 0.3333 0.9063

SrPI3 PBE relaxed; energy relative to the elements, uncorrected = -0.7 eV/f.u.; SG = Pm-3m
1.0
6.4507 0.0000 0.0000
0.0000 6.4507 0.0000
0.0000 0.0000 6.4507
Sr P I
1 1 3
Direct
0.0000 0.0000 0.0000
0.5000 0.5000 0.5000
0.0000 0.0000 0.5000
0.0000 0.5000 0.0000
0.5000 0.0000 0.0000

Sm2GeBr PBE relaxed; energy relative to the elements, uncorrected = -4.1 eV/f.u.; SG = Pmmn
1.0
4.2415 0.0000 0.0000
0.0000 7.2842 0.0000
0.0000 0.0000 7.4966
Sm Ge Br
4 2 2
Direct
0.2500 0.0052 0.2155
0.2500 0.4948 0.2155
0.7500 0.5052 0.7845
0.7500 0.9948 0.7845
0.2500 0.7500 0.9101
0.7500 0.2500 0.0899
0.2500 0.2500 0.5766
0.7500 0.7500 0.4234

NbTe2AuN PBE relaxed; energy relative to the elements, uncorrected = 1.5 eV/f.u.; SG = P4/mmm
1.0
5.5460 0.0000 0.0000
0.0000 5.5460 0.0000
0.0000 0.0000 3.8965
Nb Te Au N
1 2 1 1
Direct
0.0000 0.0000 0.0000
0.0000 0.5000 0.0000
0.5000 0.0000 0.0000
0.5000 0.5000 0.5000
0.0000 0.0000 0.5000

Computed mass density (g cm⁻³) in order:
6.66, 9.02, 8.03, 3.09, 6.50, 7.75
Computed calculated volume (A^3/atom) in order:
35.02, 17.17, 33.33, 53.68, 28.95, 23.97

=====

An optimized crystal structure of Li2V2P4H6O17, computed with GGA+U.

Geometry as CIF:
```
data_Li2V2P4H6O17
_chemical_formula_sum 'Li4 V4 P8 H12 O34'
_cell_length_a 8.7035
_cell_length_b 9.2052
_cell_length_c 9.5484
_cell_angle_alpha 61.80
_cell_angle_beta 89.70
_cell_angle_gamma 80.71
_symmetry_space_group_name_H-M 'P 1'
_symmetry_Int_Tables_number 1
_symmetry_space_group_name_Hall 'P 1'
loop_
_atom_site_label
_atom_site_type_symbol
_atom_site_fract_x
_atom_site_fract_y
_atom_site_fract_z
Li1 Li 0.1634 0.0146 0.2223
Li2 Li 0.2434 0.3260 0.3034
Li3 Li 0.7566 0.6740 0.6966
Li4 Li 0.8366 0.9854 0.7777
- New courses include: new instructor for an established course or a completely new WI course
Here the piece breaks off for crystal structures:
____________
Record 1
First-principles (PBE-GGA) data for a relaxed structure of Pm2GaH2O6, as listed in the Alexandria database.

## Properties
Spin magnetization: 0.50 μB/f.u.
Raw total energy: -6.330 eV per atom
DOS at the Fermi energy: 14.82 states/eV per cell

CIF file:
```
data_Pm2GaH2O6
_chemical_formula_sum 'Pm6 Ga3 H6 O18'
_symmetry_space_group_name_H-M 'R -3 m'
_symmetry_Int_Tables_number 166
_symmetry_space_group_name_Hall '-R 3 2"'
_cell_length_a 5.0499
_cell_length_b 5.0499
_cell_length_c 14.9814
_cell_angle_alpha 90.00
_cell_angle_beta 90.00
_cell_angle_gamma 120.00
loop_
_atom_site_label
_atom_site_fract_x
_atom_site_fract_y
_atom_site_fract_z
Pm1 0.0000 0.0000 0.2255
Ga1 0.0000 0.0000 0.0000
H1 0.0000 0.0000 0.4204
O1 0.0066 0.5033 0.2472
```

Record 2
First-principles (PBE-GGA) data for a relaxed structure of CeUOs, as listed in the Alexandria database.

## Properties
Spin magnetization: 0.45 μB/f.u.
Offset from the most stable computed form: 0.65 eV per formula unit
Raw total energy: -9.383 eV per atom
Formation enthalpy at 0 K: 0.10 eV per atom
DOS at the Fermi energy: 12.84 states/eV per cell

CIF file:
```
data_CeUOs
_chemical_formula_sum 'Ce2 U2 Os2'
_symmetry_space_group_name_H-M 'P 1 21/m 1'
_symmetry_Int_Tables_number 11
_symmetry_space_group_name_Hall '-P 2yb'
_cell_length_a 5.576
_cell_length_b 3.174
_cell_length_c 7.492
_cell_angle_alpha 90.00
_cell_angle_beta 101.17
_cell_angle_gamma 90.00
loop_
_atom_site_label
_atom_site_fract_x
_atom_site_fract_y
_atom_site_fract_z
Ce1 0.196 0.250 0.421
U1 0.192 0.250 0.983
Os1 0.398 0.750 0.753
```

Record 3
First-principles (PBE-GGA) data for a relaxed structure of CePr2Ir, as listed in the Alexandria database.

## Properties
Spin magnetization: 2.11 μB/f.u.
Offset from the most stable computed form: 1.76 eV per formula unit
Raw total energy: -6.064 eV per atom
Formation enthalpy at 0 K: 0.02 eV per atom
DOS at the Fermi energy: 27.90 states/eV per cell

CIF file:
```
data_CePr2Ir
_chemical_formula_sum 'Ce3 Pr6 Ir3'
_symmetry_space_group_name_H-M 'R -3 m'
_symmetry_Int_Tables_number 166
_symmetry_space_group_name_Hall '-R 3 2"'
_cell_length_a 3.8816
_cell_length_b 3.8816
_cell_length_c 32.1566
_cell_angle_alpha 90.00
_cell_angle_beta 90.00
_cell_angle_gamma 120.00
loop_
_atom_site_label
_atom_site_fract_x
_atom_site_fract_y
_atom_site_fract_z
Ce1 0.0000 0.0000 0.0000
Pr1 0.0000 0.0000 0.1125
Ir1 0.0000 0.0000 0.5000
```

Record 4
First-principles (PBE-GGA) data for a relaxed structure of Re3IrPt, as listed in the Alexandria database.

## Properties
Spin magnetization: 0.00 μB/f.u.
Offset from the most stable computed form: 0.00 eV per formula unit
Raw total energy: -8.205 eV per atom
Formation enthalpy at 0 K: 2.24 eV per atom
DOS at the Fermi energy: 5.76 states/eV per cell

CIF file:
```
data_Re3IrPt
_chemical_formula_sum 'Re3 Ir1 Pt1'
_symmetry_space_group_name_H-M 'P m -3 m'
_symmetry_Int_Tables_number 221
_symmetry_space_group_name_Hall '-P 4 2 3'
_cell_length_a 4.657
____________
End of the crystal structures:
- Substantially changed includes: significant changes to writing assignments, adjustment in course format (face-to-face, online, hybrid) which affects writing assignments, or any course with a justification for WI grade percentages less than 50%.
- Each subcommittee meets for up to one hour to discuss the proposals and vote on their approval.
- CWP sends all proposals approved by the subcommittees to the Registrar to be flagged Writing Intensive in MyZou.
- CWP asks for and receives answers from instructors of unapproved courses and forwards that information to subcommittees via email. Subcommittees approve pending courses, provided their concerns on the courses are remedied.
- CWP sends the remaining courses to the Registrar to be flagged Writing Intensive in MyZou.
What Should I Do First as a New Board Member?
We recommend that you first review CWP’s WI Guidelines. These guidelines consist of guiding questions for WI course design and the required elements of WI courses.
How Should I Review WI Proposals?
Above all, we ask that you appreciate the collaborative spirit of CWP. Your role is not to criticize the instructor as you might with a grant proposal or article review; rather, we ask that you draw upon your own WI experience and that of your colleagues to provide constructive feedback and guidance to the instructors, when needed.
Specific to the proposals, we suggest that you review each proposal with the above guidelines in mind. The following questions may be helpful as you review the proposals:
- Do the course’s assignments follow the WI guidelines?
- Do the writing assignments adequately address the complexity of the discipline?
- Do students receive a variety of timely feedback on their writing?
- Do you have any friendly advice for the instructor?
Being a member of the Campus Writing Board provides an opportunity to positively impact every MU student and share in the interdisciplinary spirit that makes this program nationally and internationally recognized. Please do not hesitate to contact us if you have any questions or concerns!
Thank you for your service!
The Campus Writing Program